== Source ==
-- begin --
DFT (ωB97M-V/def2-TZVPD) results for a molecular structure, C20H31N7OPb.

* LUMO (spin up / spin down): -12.160 / -14.017 eV
* gap between HOMO and LUMO (spin up / spin down): 6.543 / 4.768 eV
* total charge: +4
* DFT total energy: -38925.2375 eV

Atoms and positions in Å:
N  1.31525  -0.04802  1.97624
C  2.94794  1.27897  0.70008
C  -2.29245  -0.49415  -7.56146
H  3.77588  -2.22807  3.68741
C  0.15615  -3.12872  4.37272
C  -2.08542  2.74601  4.05256
H  3.40337  -3.73734  2.65535
H  3.70255  -2.03409  0.76459
N  0.67246  -2.29568  3.27226
H  -1.30256  -2.60537  5.86947
H  -2.15251  1.05024  -10.40110
H  2.70303  3.59953  1.58951
C  -1.02115  3.15972  2.94022
H  -1.49827  3.64710  2.07205
C  1.88262  -2.24697  2.81224
C  -1.84102  -1.90808  -9.53279
C  2.09708  -1.17173  1.83260
H  0.01762  -0.37173  5.15136
H  2.67712  -3.54471  4.24602
H  -2.52676  -2.14107  -10.40600
H  0.43669  1.19268  -10.24964
C  -0.09537  0.37330  -9.83949
H  0.32080  -2.17694  -9.17885
N  -1.59667  2.32453  5.34299
H  2.01991  3.93434  3.11698
H  -1.98791  -2.47994  4.29675
C  1.70610  1.21075  1.51146
H  -3.08967  1.46815  6.37635
C  -2.05206  1.18960  6.05730
H  -0.46536  3.96528  3.43165
H  0.00946  -4.18389  4.08046
H  -1.09793  2.95135  5.96897
C  3.25218  -1.12910  0.94847
N  -0.16421  2.12081  2.53210
C  -1.57104  0.73991  -9.51851
H  -2.66406  3.62431  4.33566
C  3.03229  -2.98138  3.39711
Pb  -0.98662  -0.62965  2.35134
H  -1.59523  1.57196  -8.80257
C  -2.06728  -0.22149  5.38795
C  -0.38121  -1.98223  -10.00286
H  -0.19773  -2.77577  -10.68754
H  1.17086  4.50120  1.72003
C  -1.07638  -2.29161  4.89952
H  0.82862  -3.13218  5.21185
C  1.73164  3.68501  2.11395
H  -2.07985  -2.64199  -8.75685
H  -2.83296  -0.34776  4.62411
N  -2.03586  -0.56965  -8.90129
H  4.46499  0.15118  -0.23195
-- stop --
== Assignment ==
Now duplicate the whole of the notes further above with every line break kept.
== Done ==
DFT (ωB97M-V/def2-TZVPD) results for a molecular structure, C20H31N7OPb.

* LUMO (spin up / spin down): -12.160 / -14.017 eV
* gap between HOMO and LUMO (spin up / spin down): 6.543 / 4.768 eV
* total charge: +4
* DFT total energy: -38925.2375 eV

Atoms and positions in Å:
N  1.31525  -0.04802  1.97624
C  2.94794  1.27897  0.70008
C  -2.29245  -0.49415  -7.56146
H  3.77588  -2.22807  3.68741
C  0.15615  -3.12872  4.37272
C  -2.08542  2.74601  4.05256
H  3.40337  -3.73734  2.65535
H  3.70255  -2.03409  0.76459
N  0.67246  -2.29568  3.27226
H  -1.30256  -2.60537  5.86947
H  -2.15251  1.05024  -10.40110
H  2.70303  3.59953  1.58951
C  -1.02115  3.15972  2.94022
H  -1.49827  3.64710  2.07205
C  1.88262  -2.24697  2.81224
C  -1.84102  -1.90808  -9.53279
C  2.09708  -1.17173  1.83260
H  0.01762  -0.37173  5.15136
H  2.67712  -3.54471  4.24602
H  -2.52676  -2.14107  -10.40600
H  0.43669  1.19268  -10.24964
C  -0.09537  0.37330  -9.83949
H  0.32080  -2.17694  -9.17885
N  -1.59667  2.32453  5.34299
H  2.01991  3.93434  3.11698
H  -1.98791  -2.47994  4.29675
C  1.70610  1.21075  1.51146
H  -3.08967  1.46815  6.37635
C  -2.05206  1.18960  6.05730
H  -0.46536  3.96528  3.43165
H  0.00946  -4.18389  4.08046
H  -1.09793  2.95135  5.96897
C  3.25218  -1.12910  0.94847
N  -0.16421  2.12081  2.53210
C  -1.57104  0.73991  -9.51851
H  -2.66406  3.62431  4.33566
C  3.03229  -2.98138  3.39711
Pb  -0.98662  -0.62965  2.35134
H  -1.59523  1.57196  -8.80257
C  -2.06728  -0.22149  5.38795
C  -0.38121  -1.98223  -10.00286
H  -0.19773  -2.77577  -10.68754
H  1.17086  4.50120  1.72003
C  -1.07638  -2.29161  4.89952
H  0.82862  -3.13218  5.21185
C  1.73164  3.68501  2.11395
H  -2.07985  -2.64199  -8.75685
H  -2.83296  -0.34776  4.62411
N  -2.03586  -0.56965  -8.90129
H  4.46499  0.15118  -0.23195